Crucial Fact

  • Her favourite word was devco.

Last in Parliament October 2000, as NDP MP for Bras D'Or (Nova Scotia)

Lost her last election, in 2000, with 20% of the vote.

Statements in the House

Employment Insurance Act October 19th, 2000

Mr. Speaker, I rise on a point of order. I would like to inform the House that the public accounts committee waited for over 20 minutes and nobody showed up.

Business Of The House October 19th, 2000

Mr. Speaker, I would like to inform the government whip and House leader that as the representative on the public accounts committee for the New Democratic Party, I can confirm that no Liberal representatives arrived at the committee.

Atlantic Canada Opportunities Agency October 17th, 2000

Mr. Speaker, in Cape Breton, Liberal values mean contracts offered to golf buddies of the Prime Minister: a friend under RCMP investigation who got ministerial help arranging a sole source contract from ACOA that saw hundreds of thousands of dollars spent on renting empty offices. These are the values laid out in the auditor general's report today.

Will the new unelected minister for ACOA be responding to these documented abuses before Canadians are forced to go to the polls?

Supply October 16th, 2000

Mr. Speaker, it is really simple. It is the number. All we have to do is look at how many men and how many women there are in the House of Commons.

Probably the member has some ideas about why that is so. We talk about equality. We hear the government talk about it all the time. If we as members are not committed to that equality when it comes to representing citizens, I am afraid that by the time my 11 year old daughter is old enough we still will not have that equality, if we do not have that commitment from the Liberal government.

Supply October 16th, 2000

Mr. Speaker, I thank my colleague for her question. As she knows, being a mother, it is a struggle and it is tough being a mother and not having the ability to feed or clothe one's children.

What we have seen happen is a slash, burn and cut mentality from the Liberal government. Unfortunately women have carried the brunt of the Liberal cuts.

With respect to the member's question about whether it is difficult, as I said earlier in my speech, the government talks about equality, but when we sit in the Chamber do we have equality? Not yet. Will we? I believe so.

What is important about the women's world march is that it is not about asking any more. It is about Canadian women demanding. This will be something for which women will want an answer from every government member when they possibly go knocking on doors in two weeks.

Supply October 16th, 2000

Mr. Speaker, I thank my hon. colleague for his comments. I think he makes a very valid point. When we are talking in the House about equality, as women have been talking across the country, that is just what we are talking about: equality for all women who are Canadian citizens.

Recently we have heard a lot of discussion from the other side of the House about values, about Liberal government values. As a Canadian citizen I have to say that we all should be standing here and holding our heads in shame when we look at the social deficit that has been caused at the hands of the Liberal government.

As a mother I cannot imagine knowing and dealing with, day after day, my children having to go to bed hungry. Women across Canada to their credit yesterday sent a clear message to the government. This is not about our asking for equality. This is about Canadian women from coast to coast to coast saying we want it and we want it now.

Supply October 16th, 2000

Mr. Speaker, I am pleased to participate in the debate today, but I think it is very important that we also talk about what is happening across the country as we sit here. We have to look at the facts.

One in five Canadian children, or 1.3 million, live in poverty. That is up 25% since 1989. The fastest growing segment of the homeless population in Canada is families with children. Up to 40% of all food bank users are children under 18 years of age. The Canada child benefit, Canada's major tax transfer program for children, goes to only 36% of poor families. Those are the facts.

Yesterday was a momentous time for women across Canada and the world. The streets of the capital were filled with 50,000 men and women in a demonstration to make their demands known to the federal government.

What was the purpose of the march? What had inspired such a mass demonstration of anger toward the Liberal government? The march was for equality. The march was to stop violence against women. The march was to end poverty affecting women. It was an expression of anger at the Liberal government. Here we are, a supposedly civilized developed nation, and yet we still have to march in the streets to demand decent funding for health care. This is what Canada has come to. Yesterday 50,000 people shouted that it is time for a change.

In 1985 the UN announced that the target date for equality between men and women was the year 2000. We have two months left before the target date and it is terrifying to see how far we are from equality.

Wages for women are on average two-thirds those of their male equivalents. The glass ceiling in many professions is just as solid as it was 30 years ago. Members should look around the House. Do we see equality?

One in six Canadian women is poor. This figure of one in six includes all types of women. Of those women living alone who are more than 65 years of age there is a poverty rate of 49%. Is this how the Liberal government wants to thank those women who have put so much into our country? As well, of women who head single parent families 56% are poor. Is this the environment the Liberal government wants our future generations to be raised in?

What does this mass poverty lead to? It leads to women staying in violent or abusive relationships. The financial cost of escaping is too great. It leads to fear of running away. We all know the federal government has not set aside resources and benefits to protect these women.

Should it really take 50,000 marchers to make the government give money to those who really need it? The demands of the World March of Women are vital to the development of our nation. We must restore federal funding to health care and prevent it from the awful prospect of privatization.

Over the lifetime of the Liberal government millions of dollars have been cut year after year. Acceptable health care is a crucial part of society. We must fight every day to restore it to acceptable levels. We must also continually demand that a two tier system of health care be prevented. Only recently Alberta made moves toward such a system. The nation was outraged.

Someone pasted crystal structures at this point >
~~~
(1)
# LaHgS3

A relaxed LaHgS3 crystal (PBE, Alexandria). Values from VASP.

Quantum ESPRESSO input file:
```
&SYSTEM
  ibrav = 0, nat = 5, ntyp = 3
/
ATOMIC_SPECIES
S 32.06 S.upf
Hg 200.59 Hg.upf
La 138.91 La.upf
ATOMIC_POSITIONS angstrom
S -0.550 -2.026 1.318
S 1.983 0.395 1.434
S -1.382 1.373 1.533
Hg 0.000 0.000 0.000
La 0.051 -0.259 4.286
CELL_PARAMETERS angstrom
-2.765 2.746 3.067
-1.100 -4.053 2.637
3.967 0.789 2.869
```

space-group type: No. 221
raw total energy: -4.054 eV per atom
uncorrected formation energy: -532.1 meV/atom
energy above the most stable polymorph in this dataset: 0 meV per atom

---

(2)
# PmGeBi2

A relaxed PmGeBi2 crystal (PBE, Alexandria). Values from VASP.

Quantum ESPRESSO input file:
```
&SYSTEM
  ibrav = 0, nat = 4, ntyp = 3
/
ATOMIC_SPECIES
Ge 72.64 Ge.upf
Bi 208.98 Bi.upf
Pm 145.00 Pm.upf
ATOMIC_POSITIONS angstrom
Ge -1.588 -0.569 1.749
Bi 0.566 2.014 1.169
Bi 1.723 -1.171 1.184
Pm 0.701 0.274 4.101
CELL_PARAMETERS angstrom
-3.176 -1.138 3.498
3.446 -2.342 2.367
1.132 4.028 2.338
```

space-group type: No. 123
raw total energy: -4.631 eV per atom
ΔH_f (0 K): -348 meV per atom
energy above the most stable polymorph in this dataset: 0 meV per atom

---

(3)
# HgIrW2

A relaxed HgIrW2 crystal (PBE, Alexandria). Values from VASP.

Quantum ESPRESSO input file:
```
&SYSTEM
  ibrav = 0, nat = 4, ntyp = 3
/
ATOMIC_SPECIES
Hg 200.59 Hg.upf
Ir 192.22 Ir.upf
W 183.84 W.upf
ATOMIC_POSITIONS angstrom
Hg 4.560 2.632 1.861
Ir 2.280 1.316 0.931
W 0.000 0.000 0.000
W 6.839 3.949 2.792
CELL_PARAMETERS angstrom
4.560 0.000 0.000
2.280 3.949 0.000
2.280 1.316 3.723
```

space-group type: No. 216
raw total energy: -8.147 eV per atom
ΔH_f (0 K): 620 meV per atom

---

(4)
# BaSmSb2

A relaxed BaSmSb2 crystal (PBE, Alexandria). Values from VASP.

Quantum ESPRESSO input file:
```
&SYSTEM
  ibrav = 0, nat = 4, ntyp = 3
/
ATOMIC_SPECIES
Ba 137.33 Ba.upf
Sm 150.36 Sm.upf
Sb 121.76 Sb.upf
ATOMIC_POSITIONS angstrom
Ba 4.556 2.630 4.247
Sm 6.834 3.946 8.310
Sb 2.278 1.315 6.552
Sb 2.278 1.315 1.801
CELL_PARAMETERS angstrom
4.556 0.000 0.000
2.278 3.946 0.000
2.278 1.315 8.364
```

space-group type: No. 160
raw total energy: -4.639 eV per atom
uncorrected formation energy: -917.8 meV/atom
energy above the most stable polymorph in this dataset: 41 meV per atom

---

Please write out number 1 again, unchanged.
# LaHgS3

A relaxed LaHgS3 crystal (PBE, Alexandria). Values from VASP.

Quantum ESPRESSO input file:
```
&SYSTEM
  ibrav = 0, nat = 5, ntyp = 3
/
ATOMIC_SPECIES
S 32.06 S.upf
Hg 200.59 Hg.upf
La 138.91 La.upf
ATOMIC_POSITIONS angstrom
S -0.550 -2.026 1.318
S 1.983 0.395 1.434
S -1.382 1.373 1.533
Hg 0.000 0.000 0.000
La 0.051 -0.259 4.286
CELL_PARAMETERS angstrom
-2.765 2.746 3.067
-1.100 -4.053 2.637
3.967 0.789 2.869
```

space-group type: No. 221
raw total energy: -4.054 eV per atom
uncorrected formation energy: -532.1 meV/atom
~~~

Canadian women say health care funding must be restored now. The World March of Women also demands that an additional 1% of the budget must be spent on social housing. With increasing numbers of people being forced to sleep on the streets and rising numbers of women using women's shelters, increased federal spending on social housing is well overdue.

The federal government promised to contribute $2 billion to the setting up of a national child care fund. This money is yet to materialize. Any working mother knows the difficulty of juggling a career and a family, and yet the government seems to be reluctant to support these women who need their help.

When will the Liberal government recognize that until women know that their children can be looked after they cannot go back to work? In many cases they cannot afford child care until they are earning a wage. This is an ongoing nightmare for many women across the country who are desperate to get back to work but are unable.

There are many more specific demands submitted by the World March of Women and it is time they were answered. Last month the government triumphantly announced its $12 billion surplus. Now it is time to use it. How long can the government ignore the shouts of thousands of its citizens who say give the money to health care, give the money to benefits, give the money to reduce student debt, promise to protect women from violence at home, and find ways to secure equality between men and women? It should open its eyes and recognize that these issues will not go away.

These are not just women's issues. These are the issues of Canadians. The NDP has been calling for many of these changes throughout this parliament. Health care and education have been two of our highest priorities. We will not give up the fight to protect and approve them.

The member for Halifax and I were on the Hill supporting the march. We were showing our desire to gain equality and end poverty and violence against women. Today the NDP women are on the inside of parliament shouting just as loudly for the same demands.

Yesterday's march was a triumph for the women of Canada. Now that momentum must be harnessed and pushed forward. The government cannot ignore the cries of 50,000 people with the support of thousands more around the country and the world. The message is loud and clear. It is time for change.

Questions Passed As Orders For Returns October 16th, 2000

What funds, grants, loans and loan guarantees has the government issued in the constituency of Bras d'Or—Cape Breton for each of the following fiscal years: ( a ) 1993-1994, ( b ) 1994-1995, ( c ) 1995-1996, ( d ) 1996-1997, ( e ) 1997-1998, and ( f ) 1998-1999, and in each case, where applicable: (i) what was the department or agency responsible; (ii) what was the program under which the payment was made; (iii) what were the names of the recipients, if they were groups or organizations; (iv) what was the monetary value of the payment made; and (v) what was the percentage of program funding covered by the payment received?

Next to the piece, the page also holds data records:
- - -
(1)
4
Lattice="2.9915 0.0000 0.0000 0.0000 2.9915 0.0000 0.0000 0.0000 4.7554" Properties=species:S:1:pos:R:3 comment="PBE Be2CrSi, relaxed" total_magnetization_mub_per_atom=0.43 formation_energy_uncorrected_mev_per_atom=77.1 sg="No. 123" rho_g_cm3=3.8 dos_ef_per_ev_cell=1.3 pbc="T T T"
Be 0.0000 0.0000 1.1404
Be 0.0000 0.0000 3.6151
Cr 1.4957 1.4957 0.0000
Si 1.4957 1.4957 2.3777

=====

(2)
4
Lattice="0.0000 3.2709 3.2709 3.2709 0.0000 3.2709 3.2709 3.2709 0.0000" Properties=species:S:1:pos:R:3 comment="PBE LaTc2Ru, relaxed" total_magnetization_mub_per_atom=0.33 e_above_lowest_polymorph_mev_per_atom=278.4 sg="No. 225" rho_g_cm3=10.3 formation_enthalpy_0k_mev_per_atom=521 dos_ef_per_ev_cell=5.8 pbc="T T T"
La 0.0000 0.0000 0.0000
Tc 1.6354 1.6354 1.6354
Tc 4.9063 4.9063 4.9063
Ru 3.2709 3.2709 3.2709

=====

What is the formula in the first record? Be2CrSi


# 1
## ZnRe2Br (GGA-PBE)

Data for crystalline ZnRe2Br at its relaxed geometry.

Lattice parameters (Å, degrees): 3.849 3.849 4.457 90.00 90.00 90.00
Sites, in units of the cell vectors:
Zn  0.000  0.000  0.000
Re  0.000  0.500  0.500
Re  0.500  0.000  0.500
Br  0.500  0.500  0.000

Computed properties:
**Energy above the lowest structure with this stoichiometry**: 1.109 eV/atom
**Theoretical density**: 13023 kg/m³

# 2
## LiPm6Sm5 (GGA-PBE)

Data for crystalline LiPm6Sm5 at its relaxed geometry.

Lattice parameters (Å, degrees): 6.267 6.267 11.911 95.03 95.03 120.02
Sites, in units of the cell vectors:
Li  0.000  0.000  0.000
Pm  0.082  0.415  0.249
Pm  0.250  0.250  0.751
Pm  0.415  0.082  0.249
Pm  0.585  0.918  0.751
Pm  0.750  0.750  0.249
Pm  0.918  0.585  0.751
Sm  0.166  0.834  0.500
Sm  0.333  0.667  0.000
Sm  0.500  0.500  0.500
Sm  0.667  0.333  0.000
Sm  0.834  0.166  0.500

Computed properties:
**Theoretical density**: 6782 kg/m³
**Calculated formation energy**: 0.06 eV/atom

# 3
## Ca2SnGe3Pt4 (GGA-PBE)

Data for crystalline Ca2SnGe3Pt4 at its relaxed geometry.

Lattice parameters (Å, degrees): 4.366 4.366 10.558 90.00 90.00 90.00
Sites, in units of the cell vectors:
Ca  0.000  0.500  0.241
Ca  0.500  0.000  0.759
Sn  0.000  0.000  0.500
Ge  0.000  0.500  0.876
Ge  0.500  0.000  0.124
Ge  0.500  0.500  0.500
Pt  0.000  0.000  0.000
Pt  0.000  0.500  0.644
Pt  0.500  0.000  0.356
Pt  0.500  0.500  0.000

Computed properties:
**Theoretical density**: 9878 kg/m³
**Calculated formation energy**: -0.77 eV/atom

# 4
## SiHgIr (GGA-PBE)

Data for crystalline SiHgIr at its relaxed geometry.

Lattice parameters (Å, degrees): 4.045 4.045 3.818 90.00 90.00 120.00
Sites, in units of the cell vectors:
Si  0.000  0.000  0.000
Hg  0.333  0.667  0.500
Ir  0.667  0.333  0.000

Computed properties:
**Energy above the lowest structure with this stoichiometry**: 0.000 eV/atom
**Theoretical density**: 12921 kg/m³

What did we get for total magnetization? Answer: 0.148 0.000 0.000 0.000 μB/f.u., in the order shown.
- - -

Return tabled.

Question No. 96—

Women's Rights October 16th, 2000

Mr. Speaker, yesterday, 60,000 women and men took to the streets in this capital. Their aim was to demonstrate to the government that women's issues cannot and will not be ignored any longer.

They were demanding an end to poverty and violence against women, and support flooded in from across the country.

Thirteen immediate demands were presented to the Liberal government, such as: the restoration of federal funding to health care and the enforcement of the rules against the privatization of our health care system; an additional 1% of the budget to be spent on social housing; an immediate contribution of $2 billion for the promised national child care fund; the supporting of women's organizing for equality and democracy through a variety of methods; the establishment of a national system of grants based on need, not merit; and the adoption of a proactive pay equity legislation.

We in the NDP wholeheartedly support these demands and will stand in solidarity with Canadian women to force the government to act upon this.

Employment Insurance October 6th, 2000

Mr. Speaker, on October 15 women across the globe will march hand in hand, side by side.

One of the issues they are fighting against is poverty and how it affects their families. Meanwhile the government talks about the great strides it has taken for the rights of women in Canada. All of us in this Chamber know that poor children are a result of poor parents.

Can the HRDC minister tell us if, with her government's proposed changes to the EI, a woman who was ineligible for benefits last week will be eligible today?